Financial provisions

Execution of works by Department at expense of another122


The Department may, if it is satisfied it will be of benefit to the public, enter into an agreement with any person—


for the execution by the Department of any works which the Department is authorised to execute under this Order; or

____________
Arrangement i

First-principles (PBE) data for a relaxed Cu5Se2Cl2O8 crystal, as listed in Materials Project.

```
34
Lattice="-5.393 -1.728 0.415 1.073 -2.851 -5.349 4.165 -11.349 6.883" Properties=species:S:1:pos:R:3 pbc="T T T"
O -0.243 -14.504 2.760
O -1.255 -10.789 -0.904
O -3.197 -4.640 0.534
Cu -1.935 -3.033 -3.732
Se 4.068 -12.655 1.002
O 0.841 -9.248 -0.112
Cu 1.579 -11.601 2.743
Cl -2.086 -6.922 -1.033
O -0.997 -6.679 2.060
O 0.115 -11.522 1.240
O -0.270 -4.405 0.708
Cl 1.931 -9.005 2.981
Cu 0.536 -1.425 -2.675
O -1.553 -9.168 1.540
O -3.066 -1.997 0.631
Cu 2.814 -7.764 -0.546
Cu -2.970 -8.163 2.494
Se 0.411 -10.901 -0.379
Cu 1.478 -4.867 -0.150
Cu -1.633 -11.060 2.098
O 1.100 -5.138 2.852
O 2.911 -13.930 1.318
O 0.087 -1.423 -0.811
O 2.734 -12.639 3.962
Cl -0.147 -11.555 4.211
Se -4.224 -3.272 0.946
Cu -0.078 -7.963 0.974
O -2.890 -3.288 -2.013
O 1.397 -6.759 0.409
O 3.042 -11.287 1.414
Cu 1.780 -12.894 5.680
Se -0.567 -5.026 2.327
Cu -1.735 -4.326 -0.795
Cl -0.009 -4.372 -2.263
```

=====

Arrangement ii

First-principles (PBE) data for a relaxed Cu5Se2Cl2O8 crystal, as listed in Materials Project.

```
34
Lattice="8.255 0.000 0.000 0.000 5.491 0.000 0.000 1.770 11.097" Properties=species:S:1:pos:R:3 pbc="T T T"
Cu 7.629 2.850 1.330
O 3.639 2.359 2.651
Se 4.879 1.124 2.386
Cu 0.000 0.000 0.000
Cu 1.770 3.935 6.835
O 4.616 4.903 8.446
O 2.215 4.337 2.793
O 7.695 6.557 9.354
O 6.040 2.924 8.304
O 1.913 5.223 8.341
Cu 2.357 3.050 1.287
Se 0.752 5.253 3.162
O 6.342 2.039 2.756
Cu 6.485 3.327 4.262
O 4.687 5.672 3.805
Cl 7.002 4.873 5.794
O 3.298 4.613 5.846
Cu 3.501 3.527 4.218
Se 3.375 6.138 8.711
O 7.767 4.018 2.898
Cu 4.127 0.885 5.548
O 3.568 1.590 7.292
Cu 0.626 4.412 9.767
O 0.560 0.705 1.743
O 0.488 3.244 8.199
Cl 2.875 3.274 10.851
Cu 5.897 4.212 9.810
Cl 5.380 3.988 0.246
O 4.957 2.648 5.251
O 7.425 3.534 10.800
Cl 1.253 2.388 5.302
O 0.830 3.728 0.297
Se 7.503 2.009 7.935
Cu 4.753 3.735 6.879
```

=====

Stability check: which of them is most stable? arrangement ii.

=====

Arrangement i

First-principles (PBE) data for a relaxed Cu9Se4Cl6O14 crystal, as listed in Materials Project.

```
33
Lattice="6.094 0.000 1.683 2.865 7.632 1.500 -0.023 -0.046 11.956" Properties=species:S:1:pos:R:3 pbc="T T T"
Cu 4.480 3.816 1.592
O 5.778 3.077 2.828
O 7.301 4.526 4.282
Cu 5.779 1.136 2.824
O 6.294 0.804 12.832
O 4.908 2.827 5.979
Cl 1.634 1.697 5.958
O 3.724 4.526 3.294
Cl 4.850 5.641 6.186
Se 3.981 6.489 9.334
O 5.212 3.060 11.845
Cu 5.333 4.216 4.440
Cl 6.141 6.098 13.388
Cu 1.433 3.816 0.750
O 4.029 4.759 9.161
Cu 4.468 3.793 7.570
Cu 6.732 6.404 11.247
Cu 3.157 6.450 12.316
O 4.820 6.667 10.878
Cl 2.796 1.488 1.752
O 8.563 6.667 11.911
Se 2.317 5.534 3.485
Se 6.619 2.052 11.654
Se 4.955 1.097 5.806
O 3.158 4.509 12.312
O 2.642 6.782 2.307
O 4.117 0.919 4.262
Cl 4.086 1.945 8.954
Cl 7.303 5.889 9.181
O 1.635 3.060 10.857
O 0.374 0.919 3.228
Cu 3.604 3.370 10.700
Cu 2.204 1.182 3.893
```

=====

Arrangement ii
____________


for the execution by the Department of such works incorporating particular modifications, additions or features, or at a particular time or in a particular manner,

on terms that that person pays the whole or such part of the cost of the works as may be specified in or determined in accordance with the agreement.


Without prejudice to the generality of the reference in paragraph (1) to the cost of the works, that reference shall be taken to include—


the whole of the costs incurred by the Department in or in connection with—


the making of the agreement;


the making of any order required for the purposes of the works; and


the acquisition by the Department of any land required for the purposes of the works; and


all relevant administrative expenses of the Department, including an appropriate sum in respect of general staff costs and overheads.


The agreement may also provide for the making to the Department of payments in respect of the maintenance of the works to which the agreement relates and may contain such incidental and consequential provisions as appear to the Department to be necessary or expedient for the purposes of the agreement.


The fact that works are to be executed in pursuance of an agreement under this Article does not affect the power of the Department to acquire land, by agreement or compulsorily, for the purposes of the works.


If any amount due to the Department in pursuance of an agreement under this Article is not paid in accordance with the agreement, the Department may—


direct that any means of access or other facility afforded by the works to which the agreement relates shall not be used until that amount has been paid;


recover that amount from any person having an estate in any land for the benefit of which any such means of access or other facility is afforded; and


declare that amount to be a charge on any such land (identifying it) and on all estates therein.


If it appears to the Department that a direction under paragraph (5)(a) is not being complied with, the Department may execute such works as are necessary to stop up the means of access or deny the facility, as the case may be, and may for that purpose enter any land.


Where the Department recovers an amount from a person by virtue of paragraph (5)(b), he may in turn recover from any other person having an estate in land for the benefit of which the means of access or other facility was afforded such contribution as may be found by the court to be just and equitable.

This does not affect the right of any of those persons to recover from the person liable under the agreement the amount which they are made to pay.